'''
Theoretical X-ray diffraction stick pattern of HoHfS3 for copper Kα, from the GGA-PBE geometry in Alexandria.

```
data_HoHfS3
_chemical_formula_sum 'Ho2 Hf2 S6'
_symmetry_space_group_name_H-M 'P -6 c 2'
_symmetry_Int_Tables_number 188
_symmetry_space_group_name_Hall 'P -6c 2'
_cell_length_a 6.5473
_cell_length_b 6.5473
_cell_length_c 6.4777
_cell_angle_alpha 90.00
_cell_angle_beta 90.00
_cell_angle_gamma 120.00
loop_
_atom_site_label
_atom_site_type_symbol
_atom_site_fract_x
_atom_site_fract_y
_atom_site_fract_z
Ho1 Ho 0.0000 0.0000 0.0000
Hf1 Hf 0.6667 0.3333 0.0000
S1 S 0.3501 0.0338 0.2500
```

Peak list (12 most intense, 10 to 90 degrees two-theta, sorted by position)
h k l	2theta	I/Imax
1 0 0	15.6	100
1 1 0	27.2	69
0 0 2	27.5	15
1 0 2	31.8	29
1 1 2	39.1	95
2 0 2	42.4	18
3 0 0	48.1	32
2 1 2	51.1	18
3 0 2	56.4	15
2 2 2	63.7	22
3 0 4	77.6	16
4 1 2	83.7	21

=====

# TlCu2P2
Theoretical X-ray diffraction stick pattern, Cu Kα X-rays. Input: a structure optimized by DFT (PBE).

Top 8 peaks for 10° ≤ 2θ ≤ 90°, in order of falling intensity:
2θ 33.15, I 100
2θ 40.75, I 47
2θ 33.48, I 45
2θ 16.23, I 38
2θ 16.56, I 36
2θ 32.79, I 32
2θ 36.96, I 29
2θ 29.73, I 24

Structure:
```
10
Lattice="1.634 -5.463 0.000 1.634 5.463 0.000 0.000 0.000 10.706" Properties=species:S:1:pos:R:3 pbc="T T T"
Tl 1.634 5.203 8.030
Tl 1.634 -5.203 2.677
Cu 1.634 2.388 8.030
Cu 1.634 0.000 0.000
Cu 1.634 0.000 5.353
Cu 1.634 -2.388 2.677
P 1.634 2.163 5.833
P 1.634 2.163 10.227
P 1.634 -2.163 0.480
P 1.634 -2.163 4.873
```

***

# Zn5CuP3
Theoretical X-ray diffraction stick pattern, Cu Kα X-rays. Input: a structure optimized by DFT (PBE).

Top 8 peaks for 10° ≤ 2θ ≤ 90°, in order of falling intensity:
2θ 27.46, I 100
2θ 46.27, I 99
2θ 28.78, I 86
2θ 46.01, I 34
2θ 22.66, I 34
2θ 41.56, I 32
2θ 53.36, I 32
2θ 50.75, I 25

Structure:
```
9
Lattice="5.394 0.000 0.000 0.000 5.726 0.000 -0.361 0.000 5.397" Properties=species:S:1:pos:R:3 pbc="T T T"
Zn 0.000 0.000 0.000
Zn 0.884 3.863 4.235
Zn 1.562 1.094 1.678
Zn 3.472 1.094 3.719
Zn 4.149 3.863 1.163
Cu 2.517 3.083 2.699
P 0.000 2.335 0.000
P -0.180 5.370 2.699
P 2.697 5.378 0.000
```

***

# Zr3CuP
Theoretical X-ray diffraction stick pattern, Cu Kα X-rays. Input: a structure optimized by DFT (PBE).

Top 8 peaks for 10° ≤ 2θ ≤ 90°, in order of falling intensity:
2θ 32.17, I 100
2θ 35.58, I 91
2θ 34.30, I 70
2θ 38.16, I 62
2θ 31.73, I 55
2θ 49.79, I 38
2θ 60.53, I 31
2θ 52.58, I 29

Structure:
```
10
Lattice="1.831 -5.602 0.000 1.831 5.602 0.000 0.000 0.000 9.619" Properties=species:S:1:pos:R:3 pbc="T T T"
Zr 1.831 4.810 7.214
Zr 1.831 1.637 5.482
Zr 1.831 1.637 8.947
Zr 1.831 -1.637 0.672
Zr 1.831 -1.637 4.137
Zr 1.831 -4.810 2.405
Cu 1.831 2.820 2.405
Cu 1.831 -2.820 7.214
P 0.000 0.000 0.000
P 0.000 0.000 4.810
```

***

# PaCu
Theoretical X-ray diffraction stick pattern, Cu Kα X-rays. Input: a structure optimized by DFT (PBE).

Top 8 peaks for 10° ≤ 2θ ≤ 90°, in order of falling intensity:
2θ 37.49, I 100
2θ 67.65, I 36
2θ 26.27, I 34
2θ 54.07, I 18
2θ 61.08, I 15
2θ 80.00, I 11
2θ 46.36, I 11
2θ 85.96, I 8

Structure:
```
2
Lattice="3.392 0.000 0.000 0.000 3.392 0.000 0.000 0.000 3.392" Properties=species:S:1:pos:R:3 pbc="T T T"
Pa 0.000 0.000 0.000
Cu 1.696 1.696 1.696
```

***

# Cu15Pb
Theoretical X-ray diffraction stick pattern, Cu Kα X-rays. Input: a structure optimized by DFT (PBE).

Top 8 peaks for 10° ≤ 2θ ≤ 90°, in order of falling intensity:
2θ 43.47, I 100
2θ 42.79, I 66
2θ 49.81, I 42
2θ 74.10, I 26
2θ 51.05, I 26
2θ 10.39, I 22
2θ 45.08, I 19
2θ 38.44, I 17

Structure:
```
32
Lattice="4.400 0.000 0.000 0.000 34.047 0.000 -1.420 0.000 4.163" Properties=species:S:1:pos:R:3 pbc="T T T"
Cu -0.355 0.628 1.041
Cu -1.065 1.900 3.122
Cu -0.355 3.172 1.041
Cu -1.065 4.445 3.122
Cu -0.355 5.736 1.041
Cu -1.065 6.997 3.122
Cu -0.355 8.302 1.041
Cu -1.065 9.507 3.122
Cu -0.355 24.539 1.041
Cu -1.065 25.745 3.122
Cu -0.355 27.050 1.041
Cu -1.065 28.311 3.122
Cu -0.355 29.602 1.041
Cu -1.065 30.874 3.122
'''

Please repeat only the lines further above with the word "pbc" in them.

Lattice="1.634 -5.463 0.000 1.634 5.463 0.000 0.000 0.000 10.706" Properties=species:S:1:pos:R:3 pbc="T T T"
Lattice="5.394 0.000 0.000 0.000 5.726 0.000 -0.361 0.000 5.397" Properties=species:S:1:pos:R:3 pbc="T T T"
Lattice="1.831 -5.602 0.000 1.831 5.602 0.000 0.000 0.000 9.619" Properties=species:S:1:pos:R:3 pbc="T T T"
Lattice="3.392 0.000 0.000 0.000 3.392 0.000 0.000 0.000 3.392" Properties=species:S:1:pos:R:3 pbc="T T T"
Lattice="4.400 0.000 0.000 0.000 34.047 0.000 -1.420 0.000 4.163" Properties=species:S:1:pos:R:3 pbc="T T T"